Wednesday, December 28, 2011

a night out with my boys

So Matt and I were totally blessed by a sweet friend of mine tonight.  A friend that I used to teach with called last week and asked if we would be interested in 2 Baylor tickets to the Men's Basketball game at the American Airlines Center and a free nights stay at the W Hotel in Dallas.  Her parents had won the package in a contest and weren't able to use it so they wanted to give it to someone who could really enjoy it.  If you know my husband at all you know he is  huge Baylor Sports fan so we jump on board immediately.  

We shopped around at Park Lane this afternoon, leisurely drove through Highland Park, then checked into the hotel around 4pm.  I got my camera out to start taking pictures and of course, my battery was dead.  I was so iPhone pics for the weekend.  Thank goodness for phones that take decent pictures!!

P-Man was loving the big King Sized bed!!
 We got free WiFi for our stay!!
 And we have a nice view of the city. (behind these curtains)
 The bathroom is sooooo modern.  
 We literally walked right out of our hotel and right into the game!!
 We had no idea that our seats were on the floor.  Matt was super pumped about being so close to his Baylor Bears. 
 Me and my little buddy in his vintage BU gear watching the game.  I actually had a great time watching the game.  I can enjoy any sport when I'm right up in the action!!
 See how close we were!!
 We were so close that the refs could possibly hear all the stuff that Matt was yelling at them!!
 Pearson was absolutely perfect for the entire game.  The game started after his bedtime so I didn't really know how he was going to do.  He took a nap before we left so he was so happy to look around at the players and the big screen.  He was even being a little flirt with all the ladies around us.     
 The Bears won 54-52.  It was such a great game.  Matt was super excited for the win!!  The game was on ESPN2 so we had tons of friends facebooking/tweeting/texting us telling us that they saw us on TV.  One friend even said that Matt's reaction when the game was over was awesome!!
Such a fun night out with my boys. 
Thank you, Thank you, Thank you to the Collins family for thinking of us and blessing us with a fun night out!!


  1. Pearson's little jacket looked like it fit him pretty well. I'm glad I found it in the attic so he could wear it tonight.

  2. What a super special night out with your boys! I am so sure that Matt was in heaven and what special memories you guys made! Plus just a wonderful night away:)

  3. Looks like a fun night and free just makes it better!! :)

  4. SO fun! Sarah knows you very well! I'm sure Matt loved every second; I know Michael would have :)

    So glad Pearson had such a fun Christmas :)
    And my goodness, I can't believe you had a kidney stone! I don't know much about them, but that looks like a big one, too. Hope you never have another one!

Record 1
A relaxed structure of Dy6P2PtSe3. Source: Alexandria, functional GGA-PBE.

Crystal system ... monoclinic

abc: 4.019 8.211 9.136
angles: 103.36 102.71 90.00
Sites, in units of the cell vectors:
Dy: 0.334 0.903 0.669
Dy: 0.672 0.572 0.343
Dy: 0.666 0.097 0.331
Dy: 0.005 0.241 0.010
Dy: 0.995 0.759 0.990
Dy: 0.328 0.428 0.657
P: 0.832 0.664 0.665
P: 0.168 0.336 0.335
Pt: 0.500 0.000 0.000
Se: 0.500 0.500 0.000
Se: 0.832 0.168 0.664
Se: 0.168 0.832 0.336

***

Record 2
A relaxed structure of Dy6PPt2Se3. Source: Alexandria, functional GGA-PBE.

Crystal system ... monoclinic

abc: 4.011 8.334 9.319
angles: 105.98 102.43 90.00
Sites, in units of the cell vectors:
Dy: 0.337 0.889 0.673
Dy: 0.667 0.586 0.333
Dy: 0.663 0.111 0.327
Dy: 0.007 0.241 0.014
Dy: 0.993 0.759 0.986
Dy: 0.333 0.414 0.667
P: 0.500 0.000 0.000
Pt: 0.829 0.648 0.658
Pt: 0.171 0.352 0.342
Se: 0.500 0.500 0.000
Se: 0.838 0.152 0.676
Se: 0.162 0.848 0.324

***

Record 3
A relaxed structure of Dy8P3PtSe4. Source: Alexandria, functional GGA-PBE.

Crystal system ... trigonal

abc: 8.095 8.159 8.095
angles: 119.74 120.00 90.00
Sites, in units of the cell vectors:
Dy: 0.245 0.732 0.987
Dy: 0.245 0.733 0.491
Dy: 0.257 0.272 0.514
Dy: 0.742 0.732 0.987
Dy: 0.258 0.268 0.013
Dy: 0.743 0.728 0.486
Dy: 0.755 0.267 0.509
Dy: 0.755 0.268 0.013
P: 0.500 0.500 0.000
P: 0.500 0.500 0.500
P: 0.000 0.500 0.500
Pt: 0.000 0.500 0.000
Se: 0.500 0.000 0.000
Se: 0.500 0.000 0.500
Se: 0.000 0.000 0.000
Se: 0.000 0.000 0.500

***

Record 4
A relaxed structure of Dy3Si2PPt9. Source: Alexandria, functional GGA-PBE.

Crystal system ... trigonal

abc: 6.538 6.538 8.003
angles: 90.00 90.00 120.00
Sites, in units of the cell vectors:
Dy: 0.333 0.667 0.695
Dy: 0.000 0.000 0.000
Dy: 0.667 0.333 0.305
Si: 0.333 0.667 0.198
Si: 0.667 0.333 0.802
P: 0.000 0.000 0.500
Pt: 0.857 0.143 0.709
Pt: 0.857 0.713 0.709
Pt: 0.287 0.143 0.709
Pt: 0.713 0.857 0.291
Pt: 0.143 0.287 0.291
Pt: 0.143 0.857 0.291
Pt: 0.500 0.000 0.000
Pt: 0.000 0.500 0.000
Pt: 0.500 0.500 0.000

***

Record 5
A relaxed structure of Dy2SiPPt6. Source: Alexandria, functional GGA-PBE.

Crystal system ... orthorhombic

abc: 5.535 8.193 8.351
angles: 90.00 90.00 90.00
Sites, in units of the cell vectors:
Dy: 0.500 0.733 0.243
Dy: 0.000 0.267 0.743
Dy: 0.500 0.733 0.757
Dy: 0.000 0.267 0.257
Si: 0.500 0.268 0.500
Si: 0.000 0.732 0.000
P: 0.000 0.735 0.500
P: 0.500 0.265 0.000
Pt: 0.500 0.129 0.244
Pt: 0.500 0.129 0.756
Pt: 0.000 0.871 0.256
Pt: 0.000 0.871 0.744
Pt: 0.248 0.015 0.500
Pt: 0.752 0.015 0.500
Pt: 0.252 0.506 0.500
Pt: 0.748 0.506 0.500
Pt: 0.752 0.494 0.000
Pt: 0.248 0.494 0.000
Pt: 0.252 0.985 0.000
Pt: 0.748 0.985 0.000

***

Record 6
A relaxed structure of SrDyP2Pt4. Source: Alexandria, functional GGA-PBE.

E_form ... -683 kJ/mol of formula units
Crystal system ... tetragonal

abc: 4.086 4.086 9.912
angles: 90.00 90.00 90.00
Sites, in units of the cell vectors:
Sr: 0.000 0.000 0.500
Dy: 0.000 0.000 0.000
P: 0.500 0.500 0.334

  5. That is so awesome Katy! What a fun, amazing night! :)

  6. So fun and sic 'em!!
